Job.
Give back the calculation results further below exactly.
Material.
┌──
1.
# Pm3As6Pd20
Simulated powder diffractogram, Cu Kα (weighted mean of Kα1 and Kα2). Input: a cell relaxed with PBE.
Peak positions follow from Bragg's law for the DFT cell and can differ from measured ones.

Structure:
a b c (Å): 8.9292 8.9292 8.9292
angles (deg): 60.00 60.00 60.00
Fractional coordinates of all 29 atoms:
1 Pm 0.0000 0.0000 0.0000
2 Pm 0.2500 0.2500 0.2500
3 Pm 0.7500 0.7500 0.7500
4 As 0.2638 0.2638 0.7362
5 As 0.2638 0.7362 0.2638
6 As 0.2638 0.7362 0.7362
7 As 0.7362 0.2638 0.2638
8 As 0.7362 0.2638 0.7362
9 As 0.7362 0.7362 0.2638
10 Pd 0.0000 0.0000 0.3493
11 Pd 0.0000 0.0000 0.6507
12 Pd 0.0000 0.3493 0.0000
13 Pd 0.0000 0.3493 0.6507
14 Pd 0.0000 0.6507 0.0000
15 Pd 0.0000 0.6507 0.3493
16 Pd 0.1505 0.6165 0.6165
17 Pd 0.3493 0.0000 0.0000
18 Pd 0.3493 0.0000 0.6507
19 Pd 0.3493 0.6507 0.0000
20 Pd 0.3835 0.3835 0.3835
21 Pd 0.3835 0.3835 0.8495
22 Pd 0.3835 0.8495 0.3835
23 Pd 0.6165 0.1505 0.6165
24 Pd 0.6165 0.6165 0.1505
25 Pd 0.6165 0.6165 0.6165
26 Pd 0.6507 0.0000 0.0000
27 Pd 0.6507 0.0000 0.3493
28 Pd 0.6507 0.3493 0.0000
29 Pd 0.8495 0.3835 0.3835

Most intense lines, 10 to 90 degrees two-theta, sorted by position:
| Position (°2θ) | intensity |
| --- | --- |
| 31.7 | 15 |
| 34.8 | 24 |
| 37.0 | 100 |
| 40.4 | 51 |
| 42.3 | 27 |
| 43.0 | 13 |
| 47.8 | 24 |
| 62.4 | 25 |
| 63.8 | 14 |
| 73.5 | 27 |

---

2.
# PmAs2Pd7
Simulated powder diffractogram, Cu Kα (weighted mean of Kα1 and Kα2). Input: a cell relaxed with PBE.
Peak positions follow from Bragg's law for the DFT cell and can differ from measured ones.

Structure:
a b c (Å): 10.6093 10.6093 10.6093
angles (deg): 157.35 157.35 32.25
Fractional coordinates of all 10 atoms:
1 Pm 0.0000 0.0000 0.0000
2 As 0.3248 0.3248 0.0000
3 As 0.6752 0.6752 0.0000
4 Pd 0.1055 0.6055 0.5000
5 Pd 0.2500 0.7500 0.5000
6 Pd 0.3945 0.8945 0.5000
7 Pd 0.5000 0.5000 0.0000
8 Pd 0.6055 0.1055 0.5000
9 Pd 0.7500 0.2500 0.5000
10 Pd 0.8945 0.3945 0.5000

Most intense lines, 10 to 90 degrees two-theta, sorted by position:
| Position (°2θ) | intensity |
| --- | --- |
| 25.1 | 16 |
| 31.6 | 18 |
| 35.2 | 41 |
| 40.5 | 100 |
| 43.4 | 56 |
| 57.1 | 15 |
| 63.1 | 19 |
| 72.4 | 12 |
| 74.4 | 12 |
| 77.7 | 29 |

---

3.
# Pm3As4Pd7
Simulated powder diffractogram, Cu Kα (weighted mean of Kα1 and Kα2). Input: a cell relaxed with PBE.
Peak positions follow from Bragg's law for the DFT cell and can differ from measured ones.

Structure:
a b c (Å): 8.2499 8.2499 9.6911
angles (deg): 124.62 124.62 29.41
Fractional coordinates of all 14 atoms:
1 Pm 0.0000 0.0000 0.0000
2 Pm 0.3211 0.3211 0.3266
3 Pm 0.6789 0.6789 0.6734
4 As 0.1065 0.1065 0.8232
5 As 0.3394 0.3394 0.7423
6 As 0.6606 0.6606 0.2577
7 As 0.8935 0.8935 0.1768
8 Pd 0.0000 0.0000 0.5000
9 Pd 0.1627 0.1627 0.4215
10 Pd 0.3060 0.3060 0.9735
11 Pd 0.4894 0.4894 0.7110
12 Pd 0.5106 0.5106 0.2890
13 Pd 0.6940 0.6940 0.0265
14 Pd 0.8373 0.8373 0.5785

Most intense lines, 10 to 90 degrees two-theta, sorted by position:
| Position (°2θ) | intensity |
| --- | --- |
| 29.8 | 22 |
| 34.9 | 100 |
| 35.1 | 55 |
| 35.4 | 80 |
| 36.2 | 25 |
| 37.1 | 26 |
| 38.1 | 31 |
| 42.0 | 35 |
| 43.2 | 61 |
| 61.8 | 22 |

---

4.
# PmAs3Pd5
Simulated powder diffractogram, Cu Kα (weighted mean of Kα1 and Kα2). Input: a cell relaxed with PBE.
Peak positions follow from Bragg's law for the DFT cell and can differ from measured ones.

Structure:
a b c (Å): 6.9850 6.9850 12.6092
angles (deg): 90.00 90.00 147.17
Fractional coordinates of all 18 atoms:
1 Pm 0.1249 0.8751 0.7500
2 Pm 0.8751 0.1249 0.2500
3 As 0.1284 0.8716 0.2500
4 As 0.3873 0.6127 0.0563
5 As 0.3873 0.6127 0.4437
6 As 0.6127 0.3873 0.5563
7 As 0.6127 0.3873 0.9437
8 As 0.8716 0.1284 0.7500
9 Pd 0.0000 0.0000 0.0000
10 Pd 0.0000 0.0000 0.5000
11 Pd 0.2086 0.7914 0.0736
12 Pd 0.2086 0.7914 0.4264
13 Pd 0.4360 0.5640 0.6423
14 Pd 0.4360 0.5640 0.8577
15 Pd 0.5640 0.4360 0.1423
16 Pd 0.5640 0.4360 0.3577
17 Pd 0.7914 0.2086 0.5736
18 Pd 0.7914 0.2086 0.9264
└──
Solution.
1.
# Pm3As6Pd20
Simulated powder diffractogram, Cu Kα (weighted mean of Kα1 and Kα2). Input: a cell relaxed with PBE.
Peak positions follow from Bragg's law for the DFT cell and can differ from measured ones.

Structure:
a b c (Å): 8.9292 8.9292 8.9292
angles (deg): 60.00 60.00 60.00
Fractional coordinates of all 29 atoms:
1 Pm 0.0000 0.0000 0.0000
2 Pm 0.2500 0.2500 0.2500
3 Pm 0.7500 0.7500 0.7500
4 As 0.2638 0.2638 0.7362
5 As 0.2638 0.7362 0.2638
6 As 0.2638 0.7362 0.7362
7 As 0.7362 0.2638 0.2638
8 As 0.7362 0.2638 0.7362
9 As 0.7362 0.7362 0.2638
10 Pd 0.0000 0.0000 0.3493
11 Pd 0.0000 0.0000 0.6507
12 Pd 0.0000 0.3493 0.0000
13 Pd 0.0000 0.3493 0.6507
14 Pd 0.0000 0.6507 0.0000
15 Pd 0.0000 0.6507 0.3493
16 Pd 0.1505 0.6165 0.6165
17 Pd 0.3493 0.0000 0.0000
18 Pd 0.3493 0.0000 0.6507
19 Pd 0.3493 0.6507 0.0000
20 Pd 0.3835 0.3835 0.3835
21 Pd 0.3835 0.3835 0.8495
22 Pd 0.3835 0.8495 0.3835
23 Pd 0.6165 0.1505 0.6165
24 Pd 0.6165 0.6165 0.1505
25 Pd 0.6165 0.6165 0.6165
26 Pd 0.6507 0.0000 0.0000
27 Pd 0.6507 0.0000 0.3493
28 Pd 0.6507 0.3493 0.0000
29 Pd 0.8495 0.3835 0.3835

Most intense lines, 10 to 90 degrees two-theta, sorted by position:
| Position (°2θ) | intensity |
| --- | --- |
| 31.7 | 15 |
| 34.8 | 24 |
| 37.0 | 100 |
| 40.4 | 51 |
| 42.3 | 27 |
| 43.0 | 13 |
| 47.8 | 24 |
| 62.4 | 25 |
| 63.8 | 14 |
| 73.5 | 27 |

---

2.
# PmAs2Pd7
Simulated powder diffractogram, Cu Kα (weighted mean of Kα1 and Kα2). Input: a cell relaxed with PBE.
Peak positions follow from Bragg's law for the DFT cell and can differ from measured ones.

Structure:
a b c (Å): 10.6093 10.6093 10.6093
angles (deg): 157.35 157.35 32.25
Fractional coordinates of all 10 atoms:
1 Pm 0.0000 0.0000 0.0000
2 As 0.3248 0.3248 0.0000
3 As 0.6752 0.6752 0.0000
4 Pd 0.1055 0.6055 0.5000
5 Pd 0.2500 0.7500 0.5000
6 Pd 0.3945 0.8945 0.5000
7 Pd 0.5000 0.5000 0.0000
8 Pd 0.6055 0.1055 0.5000
9 Pd 0.7500 0.2500 0.5000
10 Pd 0.8945 0.3945 0.5000

Most intense lines, 10 to 90 degrees two-theta, sorted by position:
| Position (°2θ) | intensity |
| --- | --- |
| 25.1 | 16 |
| 31.6 | 18 |
| 35.2 | 41 |
| 40.5 | 100 |
| 43.4 | 56 |
| 57.1 | 15 |
| 63.1 | 19 |
| 72.4 | 12 |
| 74.4 | 12 |
| 77.7 | 29 |

---

3.
# Pm3As4Pd7
Simulated powder diffractogram, Cu Kα (weighted mean of Kα1 and Kα2). Input: a cell relaxed with PBE.
Peak positions follow from Bragg's law for the DFT cell and can differ from measured ones.

Structure:
a b c (Å): 8.2499 8.2499 9.6911
angles (deg): 124.62 124.62 29.41
Fractional coordinates of all 14 atoms:
1 Pm 0.0000 0.0000 0.0000
2 Pm 0.3211 0.3211 0.3266
3 Pm 0.6789 0.6789 0.6734
4 As 0.1065 0.1065 0.8232
5 As 0.3394 0.3394 0.7423
6 As 0.6606 0.6606 0.2577
7 As 0.8935 0.8935 0.1768
8 Pd 0.0000 0.0000 0.5000
9 Pd 0.1627 0.1627 0.4215
10 Pd 0.3060 0.3060 0.9735
11 Pd 0.4894 0.4894 0.7110
12 Pd 0.5106 0.5106 0.2890
13 Pd 0.6940 0.6940 0.0265
14 Pd 0.8373 0.8373 0.5785

Most intense lines, 10 to 90 degrees two-theta, sorted by position:
| Position (°2θ) | intensity |
| --- | --- |
| 29.8 | 22 |
| 34.9 | 100 |
| 35.1 | 55 |
| 35.4 | 80 |
| 36.2 | 25 |
| 37.1 | 26 |
| 38.1 | 31 |
| 42.0 | 35 |
| 43.2 | 61 |
| 61.8 | 22 |

---

4.
# PmAs3Pd5
Simulated powder diffractogram, Cu Kα (weighted mean of Kα1 and Kα2). Input: a cell relaxed with PBE.
Peak positions follow from Bragg's law for the DFT cell and can differ from measured ones.

Structure:
a b c (Å): 6.9850 6.9850 12.6092
angles (deg): 90.00 90.00 147.17
Fractional coordinates of all 18 atoms:
1 Pm 0.1249 0.8751 0.7500
2 Pm 0.8751 0.1249 0.2500
3 As 0.1284 0.8716 0.2500
4 As 0.3873 0.6127 0.0563
5 As 0.3873 0.6127 0.4437
6 As 0.6127 0.3873 0.5563
7 As 0.6127 0.3873 0.9437
8 As 0.8716 0.1284 0.7500
9 Pd 0.0000 0.0000 0.0000
10 Pd 0.0000 0.0000 0.5000
11 Pd 0.2086 0.7914 0.0736
12 Pd 0.2086 0.7914 0.4264
13 Pd 0.4360 0.5640 0.6423
14 Pd 0.4360 0.5640 0.8577
15 Pd 0.5640 0.4360 0.1423
16 Pd 0.5640 0.4360 0.3577
17 Pd 0.7914 0.2086 0.5736
18 Pd 0.7914 0.2086 0.9264